**Brief:**
What is needed: restate only the lines underneath with the word "cell" in them.

**Contents:**
-- begin --
Compound: KSmRe
Source: the Open Quantum Materials Database
Functional: GGA-PBE
Structure: relaxed

Properties
Total magnetic moment: 4.87 μB/cell
Final energy: -4.222 eV/atom
Volume: 29.69 Å³ per atom

Cell: 7.0889 7.0889 7.0889 Å, 90.00 90.00 90.00°
Closest atoms and distances in Å follow each position.
Space group F-43m (No. 216)
Asymmetric unit:
K 0.0000 0.0000 0.0000  4 Sm 3.07
Sm 0.2500 0.2500 0.2500  4 Re 3.07, 4 K 3.07
Re 0.0000 0.0000 0.5000  4 Sm 3.07

***

Compound: KReSn
Source: the Open Quantum Materials Database
Functional: GGA-PBE
Structure: relaxed

Properties
Total magnetic moment: 12.96 μB/cell
Final energy: -3.617 eV/atom
Volume: 31.35 Å³ per atom

Cell: 7.2192 7.2192 7.2192 Å, 90.00 90.00 90.00°
Closest atoms and distances in Å follow each position.
Space group F-43m (No. 216)
Asymmetric unit:
K 0.0000 0.0000 0.0000  4 Sn 3.13, 4 Re 3.13
Re 0.2500 0.2500 0.7500  4 K 3.13
Sn 0.2500 0.2500 0.2500  4 K 3.13

***

Compound: KReSn
Source: the Open Quantum Materials Database
Functional: GGA-PBE
Structure: relaxed

Properties
Total magnetic moment: 6.95 μB/cell
Final energy: -4.356 eV/atom
Volume: 26.80 Å³ per atom

Cell: 6.8509 6.8509 6.8509 Å, 90.00 90.00 90.00°
Closest atoms and distances in Å follow each position.
Space group F-43m (No. 216)
Asymmetric unit:
K 0.0000 0.0000 0.0000  4 Re 2.97
Re 0.2500 0.2500 0.2500  4 K 2.97, 4 Sn 2.97
Sn 0.0000 0.0000 0.5000  4 Re 2.97

***

Compound: KRe2Sn2
Source: the Open Quantum Materials Database
Functional: GGA-PBE
Structure: relaxed

Properties
Total magnetic moment: 0.01 μB/cell
Final energy: -6.471 eV/atom
Volume: 24.38 Å³ per atom

Cell: 4.2114 17.9416 6.4554 Å, 90.00 91.81 90.00°
Closest atoms and distances in Å follow each position.
Space group Cm (No. 8)
Asymmetric unit:
K 0.0000 0.0000 0.0000  2 K 3.08-3.39
K 0.0452 0.0000 0.5248  2 K 3.08-3.39
Re 0.0189 0.2131 0.0796  3 Re 2.49-2.57
Re 0.0244 0.2131 0.4771  3 Re 2.49-2.57
Sn 0.0222 0.3748 0.2737  6 Re 2.90-3.18
Sn 0.0230 0.3393 0.7763  6 Re 2.96-3.08, 2 Sn 3.27-3.31

***

Compound: KThRe
Source: the Open Quantum Materials Database
Functional: GGA-PBE
Structure: relaxed

Properties
Total magnetic moment: 0.09 μB/cell
Final energy: -5.635 eV/atom
Volume: 28.55 Å³ per atom

Cell: 6.9974 6.9974 6.9974 Å, 90.00 90.00 90.00°
Closest atoms and distances in Å follow each position.
Space group F-43m (No. 216)
Asymmetric unit:
K 0.0000 0.0000 0.0000  4 Re 3.03
Th 0.0000 0.0000 0.5000  4 Re 3.03
Re 0.2500 0.2500 0.7500  4 K 3.03, 4 Th 3.03

***

Compound: KTmRe
Source: the Open Quantum Materials Database
Functional: GGA-PBE
Structure: relaxed

Properties
Total magnetic moment: 5.94 μB/cell
Final energy: -4.110 eV/atom
Volume: 29.04 Å³ per atom

Cell: 7.0372 7.0372 7.0372 Å, 90.00 90.00 90.00°
Closest atoms and distances in Å follow each position.
Space group F-43m (No. 216)
Asymmetric unit:
K 0.0000 0.0000 0.0000  4 Tm 3.05
Tm 0.2500 0.2500 0.2500  4 K 3.05, 4 Re 3.05
Re 0.0000 0.0000 0.5000  4 Tm 3.05

***

Compound: KScZnS3
Source: the Open Quantum Materials Database
Functional: GGA-PBE
Structure: relaxed

Properties
Total magnetic moment: 0.00 μB/cell
Final energy: -4.926 eV/atom
Volume: 23.68 Å³ per atom

Cell: 8.3993 3.8360 9.3566 Å, 90.00 109.52 90.00°
Closest atoms and distances in Å follow each position.
Space group P2_1/m (No. 11)
Asymmetric unit:
K 0.2187 0.2500 0.2410  7 S 3.16-3.44
Sc 0.3320 0.7500 0.8672  5 S 2.51-2.63
Zn 0.0866 0.2500 0.6103  4 S 2.29-2.45
S 0.1161 0.2500 0.8624  1 Zn 2.29
S 0.2133 0.7500 0.5452  3 Zn 2.37-2.45
S 0.4684 0.7500 0.1502  3 Sc 2.51-2.59

***

Compound: KScZnS3
Source: the Open Quantum Materials Database
Functional: GGA-PBE
Structure: relaxed

Properties
Total magnetic moment: 0.00 μB/cell
Final energy: -4.796 eV/atom
Volume: 21.90 Å³ per atom

Cell: 16.9690 3.8342 8.2473 Å, 90.00 101.65 90.00°
Closest atoms and distances in Å follow each position.
Space group C2/m (No. 12)
Asymmetric unit:
K 0.1460 0.0000 0.0683  7 S 3.08-3.23
Sc 0.1727 0.0000 0.5733  5 S 2.54-2.57
-- stop --

**Written answer:**
Total magnetic moment: 4.87 μB/cell
Total magnetic moment: 12.96 μB/cell
Total magnetic moment: 6.95 μB/cell
Total magnetic moment: 0.01 μB/cell
Total magnetic moment: 0.09 μB/cell
Total magnetic moment: 5.94 μB/cell
Total magnetic moment: 0.00 μB/cell
Total magnetic moment: 0.00 μB/cell